# Job
Say how many lines of the contents below hold the word "structural", as a bare number.

# Input
- - -
A plane-wave DFT calculation with PBE-GGA was carried out for Ce3Th2O9 after structural relaxation.

Cell and atoms, written as CIF:
```
data_Ce3Th2O9
_chemical_formula_sum 'Ce3 Th2 O9'
_cell_length_a 10.423
_cell_length_b 10.423
_cell_length_c 10.423
_cell_angle_alpha 158.32
_cell_angle_beta 38.37
_cell_angle_gamma 148.73
_symmetry_space_group_name_H-M 'P 1'
_symmetry_Int_Tables_number 1
loop_
_symmetry_equiv_pos_as_xyz
'x,y,z'
loop_
_atom_site_label
_atom_site_type_symbol
_atom_site_fract_x
_atom_site_fract_y
_atom_site_fract_z
Ce1 Ce 0.000 0.000 0.000
Ce2 Ce 0.344 0.949 0.395
Ce3 Ce 0.554 0.949 0.605
Th1 Th 0.151 0.953 0.197
Th2 Th 0.756 0.953 0.803
O1 O 0.000 0.701 0.299
O2 O 0.112 0.215 0.897
O3 O 0.221 0.721 0.500
O4 O 0.318 0.215 0.103
O5 O 0.403 0.701 0.701
O6 O 0.503 0.201 0.301
O7 O 0.630 0.718 0.912
O8 O 0.806 0.718 0.088
O9 O 0.900 0.201 0.699
```
- - -

# Response
1